Given:
____________
Entry 1:
Molecular formula: C4H11NO2
Method: DFT, wB97M-V/def2-TZVPD

Properties
- LUMO energy: 0.0169 Ha
- Electronic energy: -364.23190 Eh
- HOMO-LUMO gap: 9.80 eV
- Structure (SMILES): CC(=O)N(C)C.O
- Highest occupied orbital energy: -9.34 eV

Bonds (Å) are listed after each position.
Atoms and positions in Å:
1 O -1.77 0.57 1.43  C2 1.216
2 C -1.25 0.83 0.36  O1 1.216, N3 1.352, C4 1.546
3 N -1.75 1.78 -0.46  C2 1.352, C5 1.501, C6 1.505
4 C 0.00 0.00 0.00  C2 1.546, H7 1.103, H8 1.103, H9 1.103
5 C -0.98 2.10 -1.71  N3 1.501, H10 1.103, H11 1.103, H12 1.103
6 C -2.72 2.83 0.03  N3 1.505, H13 1.103, H14 1.103, H15 1.103
7 H 0.49 -0.32 0.93  C4 1.103
8 H 0.72 0.59 -0.60  C4 1.103
9 H -0.29 -0.90 -0.57  C4 1.103
10 H 0.00 2.50 -1.40  C5 1.103
11 H -1.49 2.84 -2.34  C5 1.103
12 H -0.81 1.18 -2.30  C5 1.103
13 H -3.29 3.30 -0.79  C6 1.103
14 H -2.20 3.61 0.60  C6 1.103
15 H -3.43 2.32 0.70  C6 1.103
16 O 1.43 3.78 -3.43  H17 0.984, H18 0.984
17 H 0.47 3.98 -3.35  O16 0.984
18 H 1.77 3.82 -2.50  O16 0.984

---

Entry 2:
Molecular formula: C17H51N15O10P
Method: DFT, wB97M-V/def2-TZVPD

Properties
- Charge: +1
- LUMO energy: -0.1271 Ha
- Electronic energy: -2593.12261 Eh
- HOMO-LUMO gap: 7.21 eV
- Highest occupied orbital energy: -10.67 eV

Bonds (Å) are listed after each position.
Atoms and positions in Å:
1 C -1.71 5.56 -0.89  C2 1.645, H20 1.193, H21 1.191, H22 1.171
2 C -1.19 6.16 0.55  C1 1.645, O3 1.474, H23 1.171, H24 1.187
3 O -1.70 5.45 1.73  C2 1.474, C4 1.477
4 C -0.94 4.22 2.01  O3 1.477, C5 1.647, H25 1.193, H26 1.191
5 C -1.76 2.92 1.43  C4 1.647, O6 1.471, H27 1.194, H28 1.185
6 O -0.90 1.80 0.99  C5 1.471, N7 1.371
7 N -0.34 2.09 -0.23  O6 1.371, C8 1.373, H29 1.043
8 C -0.23 1.19 -1.25  N7 1.373, N9 1.512, N11 1.543
9 N 0.35 1.44 -2.63  C8 1.512, C10 1.513, H30 1.045
10 C 1.48 2.44 -2.62  N9 1.513, H31 1.194, H32 1.194, H33 1.173
11 N -0.80 -0.22 -0.99  C8 1.543, C12 1.513, P17 1.819
12 C 0.14 -1.04 -0.12  N11 1.513, C13 1.662, H34 1.190, H35 1.173
13 C -0.77 -1.63 1.13  C12 1.662, O14 1.471, H36 1.191, H37 1.194
14 O -1.81 -2.59 0.71  C13 1.471, C15 1.471
15 C -1.93 -3.73 1.63  O14 1.471, C16 1.657, H38 1.194, H39 1.174
16 C -0.61 -4.70 1.39  C15 1.657, H40 1.189, H41 1.191, H42 1.172
17 P -0.88 -1.01 -2.62  N11 1.819, C18 1.912, O19 1.773
18 C -1.47 -2.83 -2.49  P17 1.912, H43 1.176, H44 1.172, H45 1.182
19 O -2.19 -0.15 -3.45  P17 1.773, H46 1.013
20 H -1.97 6.49 -1.59  C1 1.193
21 H -0.85 4.92 -1.41  C1 1.191
22 H -2.69 4.92 -0.82  C1 1.171
23 H -0.02 6.26 0.50  C2 1.171
24 H -1.61 7.27 0.62  C2 1.187
25 H 0.15 4.35 1.54  C4 1.193
26 H -0.75 4.09 3.18  C4 1.191
27 H -2.47 2.56 2.31  C5 1.194
28 H -2.50 3.25 0.56  C5 1.185
29 H 0.00 3.07 -0.35  N7 1.043
30 H -0.41 1.77 -3.27  N9 1.045
31 H 0.97 3.52 -2.61  C10 1.194
32 H 2.12 2.43 -3.64  C10 1.194
33 H 2.17 2.40 -1.68  C10 1.173
34 H 0.54 -1.98 -0.73  C12 1.190
35 H 1.06 -0.44 0.30  C12 1.173
36 H -0.09 -2.04 2.02  C13 1.191
37 H -1.36 -0.71 1.61  C13 1.194
38 H -2.88 -4.39 1.36  C15 1.194
39 H -2.09 -3.41 2.75  C15 1.174
40 H -0.16 -4.39 0.34  C16 1.189
41 H 0.18 -4.36 2.21  C16 1.191
42 H -0.86 -5.85 1.44  C16 1.172
43 H -0.81 -3.47 -1.75  C18 1.176
44 H -1.38 -3.32 -3.55  C18 1.172
45 H -2.61 -2.81 -2.20  C18 1.182
46 H -2.05 -0.27 -4.44  O19 1.013
47 C 2.94 -2.84 2.09  O48 1.220, N49 1.346, N50 1.346
48 O 2.02 -3.38 2.68  C47 1.220
49 N 3.20 -1.52 2.19  C47 1.346, H51 1.006, H52 1.011
50 N 3.78 -3.51 1.28  C47 1.346, H53 1.011, H54 1.006
51 H 3.96 -1.07 1.71  N49 1.006
52 H 2.60 -0.97 2.79  N49 1.011
53 H 3.62 -4.50 1.17  N50 1.011
54 H 4.54 -3.07 0.79  N50 1.006
55 C 4.32 -2.78 -2.44  O56 1.220, N57 1.346, N58 1.346
56 O 4.67 -1.91 -1.66  C55 1.220
57 N 3.66 -3.89 -2.05  C55 1.346, H59 1.006, H60 1.011
58 N 4.54 -2.71 -3.76  C55 1.346, H61 1.011, H62 1.006
59 H 3.37 -4.61 -2.68  N57 1.006
60 H 3.47 -3.99 -1.06  N57 1.011
61 H 5.03 -1.89 -4.11  N58 1.011
62 H 4.26 -3.42 -4.41  N58 1.006
63 C 4.58 3.61 -4.97  O64 1.220, N65 1.346, N66 1.346
____________

Brief:
It remains to repeat the calculation results above from the first line to the one with "-3.64" word for word.

Reply:
Entry 1:
Molecular formula: C4H11NO2
Method: DFT, wB97M-V/def2-TZVPD

Properties
- LUMO energy: 0.0169 Ha
- Electronic energy: -364.23190 Eh
- HOMO-LUMO gap: 9.80 eV
- Structure (SMILES): CC(=O)N(C)C.O
- Highest occupied orbital energy: -9.34 eV

Bonds (Å) are listed after each position.
Atoms and positions in Å:
1 O -1.77 0.57 1.43  C2 1.216
2 C -1.25 0.83 0.36  O1 1.216, N3 1.352, C4 1.546
3 N -1.75 1.78 -0.46  C2 1.352, C5 1.501, C6 1.505
4 C 0.00 0.00 0.00  C2 1.546, H7 1.103, H8 1.103, H9 1.103
5 C -0.98 2.10 -1.71  N3 1.501, H10 1.103, H11 1.103, H12 1.103
6 C -2.72 2.83 0.03  N3 1.505, H13 1.103, H14 1.103, H15 1.103
7 H 0.49 -0.32 0.93  C4 1.103
8 H 0.72 0.59 -0.60  C4 1.103
9 H -0.29 -0.90 -0.57  C4 1.103
10 H 0.00 2.50 -1.40  C5 1.103
11 H -1.49 2.84 -2.34  C5 1.103
12 H -0.81 1.18 -2.30  C5 1.103
13 H -3.29 3.30 -0.79  C6 1.103
14 H -2.20 3.61 0.60  C6 1.103
15 H -3.43 2.32 0.70  C6 1.103
16 O 1.43 3.78 -3.43  H17 0.984, H18 0.984
17 H 0.47 3.98 -3.35  O16 0.984
18 H 1.77 3.82 -2.50  O16 0.984

---

Entry 2:
Molecular formula: C17H51N15O10P
Method: DFT, wB97M-V/def2-TZVPD

Properties
- Charge: +1
- LUMO energy: -0.1271 Ha
- Electronic energy: -2593.12261 Eh
- HOMO-LUMO gap: 7.21 eV
- Highest occupied orbital energy: -10.67 eV

Bonds (Å) are listed after each position.
Atoms and positions in Å:
1 C -1.71 5.56 -0.89  C2 1.645, H20 1.193, H21 1.191, H22 1.171
2 C -1.19 6.16 0.55  C1 1.645, O3 1.474, H23 1.171, H24 1.187
3 O -1.70 5.45 1.73  C2 1.474, C4 1.477
4 C -0.94 4.22 2.01  O3 1.477, C5 1.647, H25 1.193, H26 1.191
5 C -1.76 2.92 1.43  C4 1.647, O6 1.471, H27 1.194, H28 1.185
6 O -0.90 1.80 0.99  C5 1.471, N7 1.371
7 N -0.34 2.09 -0.23  O6 1.371, C8 1.373, H29 1.043
8 C -0.23 1.19 -1.25  N7 1.373, N9 1.512, N11 1.543
9 N 0.35 1.44 -2.63  C8 1.512, C10 1.513, H30 1.045
10 C 1.48 2.44 -2.62  N9 1.513, H31 1.194, H32 1.194, H33 1.173
11 N -0.80 -0.22 -0.99  C8 1.543, C12 1.513, P17 1.819
12 C 0.14 -1.04 -0.12  N11 1.513, C13 1.662, H34 1.190, H35 1.173
13 C -0.77 -1.63 1.13  C12 1.662, O14 1.471, H36 1.191, H37 1.194
14 O -1.81 -2.59 0.71  C13 1.471, C15 1.471
15 C -1.93 -3.73 1.63  O14 1.471, C16 1.657, H38 1.194, H39 1.174
16 C -0.61 -4.70 1.39  C15 1.657, H40 1.189, H41 1.191, H42 1.172
17 P -0.88 -1.01 -2.62  N11 1.819, C18 1.912, O19 1.773
18 C -1.47 -2.83 -2.49  P17 1.912, H43 1.176, H44 1.172, H45 1.182
19 O -2.19 -0.15 -3.45  P17 1.773, H46 1.013
20 H -1.97 6.49 -1.59  C1 1.193
21 H -0.85 4.92 -1.41  C1 1.191
22 H -2.69 4.92 -0.82  C1 1.171
23 H -0.02 6.26 0.50  C2 1.171
24 H -1.61 7.27 0.62  C2 1.187
25 H 0.15 4.35 1.54  C4 1.193
26 H -0.75 4.09 3.18  C4 1.191
27 H -2.47 2.56 2.31  C5 1.194
28 H -2.50 3.25 0.56  C5 1.185
29 H 0.00 3.07 -0.35  N7 1.043
30 H -0.41 1.77 -3.27  N9 1.045
31 H 0.97 3.52 -2.61  C10 1.194
32 H 2.12 2.43 -3.64  C10 1.194